== What to do ==
Reproduce the lines underneath from the first line to the one with "15.63" verbatim.

== Entries ==
[1]
# P2Os

P2Os after structural relaxation (meta-GGA r2SCAN, the Materials Project).

a = 2.9456 Å, b = 5.0949 Å, c = 5.9069 Å
α = 90.00°, β = 90.00°, γ = 90.00°
Last column: nearest neighbours and their distance in Å.
Sites, in units of the cell vectors:
P 0.5000 0.6630 0.1268  1 P 2.24, 3 Os 2.36-2.38
P 0.5000 0.3370 0.8732  1 P 2.24, 3 Os 2.36-2.38
P 0.0000 0.1630 0.3732  1 P 2.24, 3 Os 2.36-2.38
P 0.0000 0.8370 0.6268  1 P 2.24, 3 Os 2.36-2.38
Os 0.5000 0.5000 0.5000  6 P 2.36-2.38
Os 0.0000 0.0000 0.0000  6 P 2.36-2.38

Properties
V	14.77	Å³/atom
DFT formation energy	-0.607	eV/atom
total magnetization	0.000	μB/f.u.

[2]
# PrP12Os4

PrP12Os4 after structural relaxation (meta-GGA r2SCAN, the Materials Project).

a = 7.0143 Å, b = 7.0143 Å, c = 7.0143 Å
α = 109.47°, β = 109.47°, γ = 109.47°
Last column: nearest neighbours and their distance in Å.
Sites, in units of the cell vectors:
P 0.3574 0.5006 0.1431  2 P 2.31-2.32, 2 Os 2.37
P 0.7857 0.1431 0.6426  2 P 2.31-2.32, 2 Os 2.37
P 0.3574 0.2143 0.8569  2 P 2.31-2.32, 2 Os 2.37
P 0.1431 0.6426 0.7857  2 P 2.31-2.32, 2 Os 2.37
P 0.6426 0.7857 0.1431  2 P 2.31-2.32, 2 Os 2.37
P 0.8569 0.6426 0.4994  2 P 2.31-2.32, 2 Os 2.37
P 0.1431 0.3574 0.5006  2 P 2.31-2.32, 2 Os 2.37
P 0.5006 0.1431 0.3574  2 P 2.31-2.32, 2 Os 2.37
P 0.2143 0.8569 0.3574  2 P 2.31-2.32, 2 Os 2.37
P 0.6426 0.4994 0.8569  2 P 2.31-2.32, 2 Os 2.37
P 0.8569 0.3574 0.2143  2 P 2.31-2.32, 2 Os 2.37
P 0.4994 0.8569 0.6426  2 P 2.31-2.32, 2 Os 2.37
Os 0.5000 0.0000 0.0000  6 P 2.37
Os 0.0000 0.0000 0.5000  6 P 2.37
Os 0.5000 0.5000 0.5000  6 P 2.37
Os 0.0000 0.5000 0.0000  6 P 2.37
Pr 0.0000 0.0000 0.0000  12 P 3.12

Properties
V	15.63	Å³/atom
DFT formation energy	-0.678	eV/atom
total magnetization	0.000	μB/f.u.

[3]
# SrP2Os2

SrP2Os2 after structural relaxation (meta-GGA r2SCAN, the Materials Project).

a = 4.0589 Å, b = 4.0589 Å, c = 6.3811 Å
α = 108.54°, β = 108.54°, γ = 90.00°
Last column: nearest neighbours and their distance in Å.
Sites, in units of the cell vectors:
Os 0.7500 0.2500 0.5000  4 P 2.33
Os 0.2500 0.7500 0.5000  4 P 2.33
Sr 0.0000 0.0000 0.0000  8 P 3.34, 8 Os 3.50
P 0.3498 0.3498 0.6997  4 Os 2.33
P 0.6502 0.6502 0.3003  4 Os 2.33

Properties
V	18.78	Å³/atom
DFT formation energy	-0.751	eV/atom
total magnetization	0.000	μB/f.u.

[4]
# ZrPOs

ZrPOs after structural relaxation (meta-GGA r2SCAN, the Materials Project).

a = 3.9163 Å, b = 6.4584 Å, c = 7.2994 Å
α = 90.00°, β = 90.00°, γ = 90.00°
Last column: nearest neighbours and their distance in Å.
Sites, in units of the cell vectors:
P 0.2500 0.7781 0.6225  4 Os 2.41-2.46
P 0.7500 0.2219 0.3775  4 Os 2.41-2.46
P 0.7500 0.7219 0.1225  4 Os 2.41-2.46
P 0.2500 0.2781 0.8775  4 Os 2.41-2.46
Os 0.7500 0.8470 0.4390  4 P 2.41-2.46
Os 0.2500 0.6530 0.9390  4 P 2.41-2.46
Os 0.2500 0.1530 0.5610  4 P 2.41-2.46
Os 0.7500 0.3470 0.0610  4 P 2.41-2.46
Zr 0.7500 0.4802 0.6788  5 P 2.76-2.78, 6 Os 2.92-3.01
Zr 0.2500 0.5198 0.3212  5 P 2.76-2.78, 6 Os 2.92-3.01
Zr 0.2500 0.0198 0.1788  5 P 2.76-2.78, 6 Os 2.92-3.01
Zr 0.7500 0.9802 0.8212  5 P 2.76-2.78, 6 Os 2.92-3.01

Properties
V	15.39	Å³/atom
DFT formation energy	-1.036	eV/atom
total magnetization	0.000	μB/f.u.

[5]
# Sc2OsPd

Sc2OsPd after structural relaxation (meta-GGA r2SCAN, the Materials Project).

a = 4.5847 Å, b = 4.5848 Å, c = 4.5848 Å
α = 60.00°, β = 60.00°, γ = 60.00°
Last column: nearest neighbours and their distance in Å.
Sites, in units of the cell vectors:
Sc 0.0000 0.0000 0.0000  4 Pd 2.81, 4 Os 2.81
Sc 0.5000 0.5000 0.5000  4 Pd 2.81, 4 Os 2.81
Os 0.2500 0.2500 0.2500  8 Sc 2.81
Pd 0.7500 0.7500 0.7500  8 Sc 2.81

Properties
V	17.03	Å³/atom
DFT formation energy	-0.728	eV/atom
total magnetization	0.000	μB/f.u.

[6]
# Tm2OsPd

Tm2OsPd after structural relaxation (meta-GGA r2SCAN, the Materials Project).

a = 4.7791 Å, b = 4.7791 Å, c = 4.7791 Å
α = 60.00°, β = 60.00°, γ = 60.00°
Last column: nearest neighbours and their distance in Å.
Sites, in units of the cell vectors:

== Here it is ==
[1]
# P2Os

P2Os after structural relaxation (meta-GGA r2SCAN, the Materials Project).

a = 2.9456 Å, b = 5.0949 Å, c = 5.9069 Å
α = 90.00°, β = 90.00°, γ = 90.00°
Last column: nearest neighbours and their distance in Å.
Sites, in units of the cell vectors:
P 0.5000 0.6630 0.1268  1 P 2.24, 3 Os 2.36-2.38
P 0.5000 0.3370 0.8732  1 P 2.24, 3 Os 2.36-2.38
P 0.0000 0.1630 0.3732  1 P 2.24, 3 Os 2.36-2.38
P 0.0000 0.8370 0.6268  1 P 2.24, 3 Os 2.36-2.38
Os 0.5000 0.5000 0.5000  6 P 2.36-2.38
Os 0.0000 0.0000 0.0000  6 P 2.36-2.38

Properties
V	14.77	Å³/atom
DFT formation energy	-0.607	eV/atom
total magnetization	0.000	μB/f.u.

[2]
# PrP12Os4

PrP12Os4 after structural relaxation (meta-GGA r2SCAN, the Materials Project).

a = 7.0143 Å, b = 7.0143 Å, c = 7.0143 Å
α = 109.47°, β = 109.47°, γ = 109.47°
Last column: nearest neighbours and their distance in Å.
Sites, in units of the cell vectors:
P 0.3574 0.5006 0.1431  2 P 2.31-2.32, 2 Os 2.37
P 0.7857 0.1431 0.6426  2 P 2.31-2.32, 2 Os 2.37
P 0.3574 0.2143 0.8569  2 P 2.31-2.32, 2 Os 2.37
P 0.1431 0.6426 0.7857  2 P 2.31-2.32, 2 Os 2.37
P 0.6426 0.7857 0.1431  2 P 2.31-2.32, 2 Os 2.37
P 0.8569 0.6426 0.4994  2 P 2.31-2.32, 2 Os 2.37
P 0.1431 0.3574 0.5006  2 P 2.31-2.32, 2 Os 2.37
P 0.5006 0.1431 0.3574  2 P 2.31-2.32, 2 Os 2.37
P 0.2143 0.8569 0.3574  2 P 2.31-2.32, 2 Os 2.37
P 0.6426 0.4994 0.8569  2 P 2.31-2.32, 2 Os 2.37
P 0.8569 0.3574 0.2143  2 P 2.31-2.32, 2 Os 2.37
P 0.4994 0.8569 0.6426  2 P 2.31-2.32, 2 Os 2.37
Os 0.5000 0.0000 0.0000  6 P 2.37
Os 0.0000 0.0000 0.5000  6 P 2.37
Os 0.5000 0.5000 0.5000  6 P 2.37
Os 0.0000 0.5000 0.0000  6 P 2.37
Pr 0.0000 0.0000 0.0000  12 P 3.12

Properties
V	15.63	Å³/atom